- - -
[1]
Formula: C6H13BrF3NO2PS
Source: the Open Molecules 2025 dataset
Level of theory: wB97M-V/def2-TZVPD

Cartesian coordinates (Å):
C: 1.138 -1.510 -1.026
C: 1.644 -0.496 -2.033
C: 0.772 0.723 -2.218
Br: 1.734 1.811 -3.693
P: 0.429 1.706 -0.773
N: 1.205 1.266 0.619
S: 0.992 3.885 -0.960
C: -1.396 1.541 -0.505
F: -1.749 2.037 0.689
F: -2.043 2.249 -1.466
F: -1.857 0.263 -0.598
H: 0.776 -1.091 -0.106
H: 1.949 -2.178 -0.791
H: 0.340 -2.100 -1.427
H: 1.679 -0.976 -2.996
H: 2.657 -0.202 -1.811
H: -0.188 0.449 -2.608
H: 1.824 0.480 0.506
H: 1.725 2.056 0.982
H: 2.297 4.032 -0.637
O: -0.838 -2.120 1.117
C: -1.175 -1.346 2.088
C: -2.314 -2.143 3.129
O: -2.650 -1.357 4.081
H: -1.723 -0.420 1.831
H: -0.375 -1.061 2.805
H: -1.750 -3.062 3.399
H: -3.101 -2.435 2.401

Maximum force   3.13 eV Å⁻¹
Net charge   -1
Highest occupied orbital energy   -1.6097 eV
DFT total energy   -110332.151 eV
Orbital gap   2.5 eV
2S+1   1

[2]
Formula: C8H11O
Source: the Open Molecules 2025 dataset
Level of theory: wB97M-V/def2-TZVPD

Cartesian coordinates (Å):
C: 1.757 -0.130 -1.204
C: -0.455 -0.868 -0.027
C: 1.168 -0.941 -0.023
C: 1.535 -0.130 1.171
C: 1.976 1.133 0.829
C: 1.952 1.126 -0.616
C: -0.886 0.473 -0.238
C: -3.361 0.329 0.278
O: -2.098 0.938 -0.255
H: 2.645 -0.808 -1.557
H: 1.164 -0.114 -2.132
H: -0.596 -1.567 -0.916
H: -0.918 -1.461 0.750
H: 1.427 -1.962 0.239
H: 1.231 -0.590 2.182
H: 2.076 1.923 1.550
H: 2.148 2.027 -1.224
H: -3.133 -0.688 0.590
H: -3.603 0.966 1.120
H: -4.030 0.346 -0.517

Maximum force   4.65 eV Å⁻¹
Net charge   +1
Highest occupied orbital energy (spin up / spin down)   -12.0407 / -12.0375 eV
DFT total energy   -10509.507 eV
Orbital gap (spin up / spin down)   6.5 / 6.5 eV
Energy relative to the best compared isomer or geometry (same formula, charge and spin)   47.5 kcal per mole
2S+1   1

[3]
Formula: H3NOP
Source: the Open Molecules 2025 dataset
- - -
Quote the listing further above from the line with "-0.598" to the end without altering anything.
F: -1.857 0.263 -0.598
H: 0.776 -1.091 -0.106
H: 1.949 -2.178 -0.791
H: 0.340 -2.100 -1.427
H: 1.679 -0.976 -2.996
H: 2.657 -0.202 -1.811
H: -0.188 0.449 -2.608
H: 1.824 0.480 0.506
H: 1.725 2.056 0.982
H: 2.297 4.032 -0.637
O: -0.838 -2.120 1.117
C: -1.175 -1.346 2.088
C: -2.314 -2.143 3.129
O: -2.650 -1.357 4.081
H: -1.723 -0.420 1.831
H: -0.375 -1.061 2.805
H: -1.750 -3.062 3.399
H: -3.101 -2.435 2.401

Maximum force   3.13 eV Å⁻¹
Net charge   -1
Highest occupied orbital energy   -1.6097 eV
DFT total energy   -110332.151 eV
Orbital gap   2.5 eV
2S+1   1

[2]
Formula: C8H11O
Source: the Open Molecules 2025 dataset
Level of theory: wB97M-V/def2-TZVPD

Cartesian coordinates (Å):
C: 1.757 -0.130 -1.204
C: -0.455 -0.868 -0.027
C: 1.168 -0.941 -0.023
C: 1.535 -0.130 1.171
C: 1.976 1.133 0.829
C: 1.952 1.126 -0.616
C: -0.886 0.473 -0.238
C: -3.361 0.329 0.278
O: -2.098 0.938 -0.255
H: 2.645 -0.808 -1.557
H: 1.164 -0.114 -2.132
H: -0.596 -1.567 -0.916
H: -0.918 -1.461 0.750
H: 1.427 -1.962 0.239
H: 1.231 -0.590 2.182
H: 2.076 1.923 1.550
H: 2.148 2.027 -1.224
H: -3.133 -0.688 0.590
H: -3.603 0.966 1.120
H: -4.030 0.346 -0.517

Maximum force   4.65 eV Å⁻¹
Net charge   +1
Highest occupied orbital energy (spin up / spin down)   -12.0407 / -12.0375 eV
DFT total energy   -10509.507 eV
Orbital gap (spin up / spin down)   6.5 / 6.5 eV
Energy relative to the best compared isomer or geometry (same formula, charge and spin)   47.5 kcal per mole
2S+1   1

[3]
Formula: H3NOP
Source: the Open Molecules 2025 dataset